- Analyzing differences between charging cases by examining unit transactions and comparing them
- Battery pack characteristics include cycle life, miles driven, range, pack size, and pack lifetime
- Comparing two cases: buffered fast charge and slow charged swap
- Conclusions show no benefit to buffered fast charge compared to slow charged swap
- Final results indicate both cases use the same number of packs for miles traveled, with the same cycle life and longevity
The analysis of charging cases involves examining charging transactions, cycle life, miles driven, range, pack size, and pack lifetime. All battery packs have a cycle life, typically lasting 1,000 to 4,000 cycles for electric vehicle use. The maximum range of a vehicle is determined by its characteristics and pack size, with range calculated as pack size multiplied by miles/kWh. Performance is equal for identical cells and packs. The lifetime miles a pack can travel is determined by the range and cycle life.
Comparing two cases on a unit transaction basis, Case 1 involves buffered fast charging where a truck receives a charge from a buffer pack, while Case 2 involves slow-charged swapping of packs. Both cases result in similar outcomes, with no significant advantages to buffered fast charging over slow charge swapping. The number of packs used, initial and final states of charge, and overall efficiency are the same in both cases.
The conclusions drawn from the comparison of the two cases show that buffered fast charge does not provide any substantial benefits over slow charge swap. Both cases require the same number of packs for mobile use, with only one pack contributing to miles traveled in the fast charge scenario. Over time, buffered fast charge uses twice as many packs compared to slow charge swap.
Furthermore, the analysis extends to scenarios where a buffered storage pack may have different characteristics or chemistries. In all cases, the additional pack used for buffering incurs extra costs without contributing to miles traveled. The inefficiencies and losses associated with fast charging also make it less efficient than slow charge swapping, potentially due to internal pack losses and charger electronics.
Overall, the study suggests that slow charge swapping of packs is a more efficient and cost-effective solution compared to buffered fast charging. The use of unit transactions allows for a simplified comparison of the two cases, highlighting the advantages of slow charge swap in terms of pack usage, efficiency, and overall performance.
********
Record 1
This record from Alexandria via LeMat-Bulk describes Sr3SiSb3 after structural relaxation. The functional is PBE-GGA.

It has space group Pnma (No. 62), with a = 13.088 Å, b = 4.954 Å, c = 14.658 Å, α = 90.00°, β = 90.00° and γ = 90.00°. The inequivalent atoms are Sr at (0.064, 0.250, 0.105), Sr at (0.140, 0.750, 0.480), Sr at (0.218, 0.750, 0.772), Si at (0.061, 0.250, 0.696), Sb at (0.027, 0.250, 0.338), Sb at (0.109, 0.250, 0.880) and Sb at (0.243, 0.250, 0.609).

The calculation puts the uncorrected formation energy at -0.731 eV/atom.

Record 2
This record from Alexandria via LeMat-Bulk describes YTl2As after structural relaxation. The functional is PBE-GGA.

It has space group I-4m2 (No. 119), with a = 4.612 Å, b = 4.612 Å, c = 9.512 Å, α = 90.00°, β = 90.00° and γ = 90.00°. The inequivalent atoms are Y at (0.000, 0.000, 0.000), Tl at (0.000, 0.000, 0.500), Tl at (0.000, 0.500, 0.250) and As at (0.000, 0.500, 0.750).

The value obtained for the calculated formation energy is -0.33 eV/atom. For the energy above the lowest structure with this stoichiometry, the calculation gives 175 meV/atom.

Record 3
This record from Alexandria via LeMat-Bulk describes TbPr2Dy6Y3 after structural relaxation. The functional is PBE-GGA.

It has space group C2/m (No. 12), with a = 6.206 Å, b = 10.741 Å, c = 11.860 Å, α = 90.00°, β = 100.00° and γ = 90.00°. The inequivalent atoms are Tb at (0.000, 0.000, 0.000), Pr at (0.000, 0.333, 0.000), Dy at (0.248, 0.000, 0.748), Dy at (0.249, 0.334, 0.748), Y at (0.000, 0.166, 0.500) and Y at (0.000, 0.500, 0.500).

The value obtained for the calculated formation energy is 0.02 eV/atom.

Record 4
This record from Alexandria via LeMat-Bulk describes DyPdCl6 after structural relaxation. The functional is PBE-GGA.

It has space group P-1 (No. 2), with a = 6.287 Å, b = 6.341 Å, c = 6.789 Å, α = 62.29°, β = 89.71° and γ = 62.83°. The inequivalent atoms are Dy at (0.000, 0.000, 0.000), Pd at (0.500, 0.000, 0.500), Cl at (0.097, 0.491, 0.251), Cl at (0.274, 0.828, 0.741) and Cl at (0.423, 0.847, 0.264).

The calculation puts the uncorrected formation energy at -1.216 eV/atom.

Record 5
This record from Alexandria via LeMat-Bulk describes CrCuSi2 after structural relaxation. The functional is PBE-GGA.

It has space group P4/mmm (No. 123), with a = 2.590 Å, b = 2.590 Å, c = 7.547 Å, α = 90.00°, β = 90.00° and γ = 90.00°. The inequivalent atoms are Cr at (0.000, 0.000, 0.000), Cu at (0.000, 0.000, 0.500) and Si at (0.500, 0.500, 0.235).

The calculation puts the uncorrected formation energy at 0.121 eV/atom.

Record 6
This record from Alexandria via LeMat-Bulk describes TbInCo after structural relaxation. The functional is PBE-GGA.

It has space group I4mm (No. 107), with a = 3.283 Å, b = 3.283 Å, c = 11.288 Å, α = 90.00°, β = 90.00° and γ = 90.00°. The inequivalent atoms are Tb at (0.000, 0.000, 0.000), In at (0.000, 0.000, 0.718) and Co at (0.000, 0.000, 0.349).
********
Here the article continues.
Read the full article here